The gate opened on the other side and Nnoitra stepped out into the moonlight. He looked around seeing he was in the park in the center of town. He let his reiatsu radiate through town like a calling card to his opponent. It was not long and Kurosaki was standing in front on him. Nnoitra grinned wider as he felt the boys’ reiatsu flow from his body.
“Nice to see you could make it,” Nnoitra said to him.
“What are you doing here?” Ichigo insisted to know.
“Looking to kick your ass,” Nnoitra then sonidoed toward Ichigo kicking him in the midsection.
Ichigo drew his sword quickly, but was caught by Nnoitra’s kick sending him back a few yards. Ichigo slid to a stop still on his feet then returned with a counter attack coming from above Nnoitra. Drawing his sword Nnoitra easily blocked Ichigo’s attack, grabbing his wrist and flinging Ichigo across the park. Ichigo tumbled to a stop looking Nnoitra’s way as he walked slowly toward him.
“Grimmjow is a fool to think you're a worthy opponent.”
Ichigo quickly got to his feet and shunpo toward Nnoitra, attacking him again. Nnoitra easily blocking all of Ichigo’s attacks.
“Such a weakling!” Nnoitra kicked Ichigo again sending him flying back again tumbling across the park. Nnoitra laughed, “and that pathetic girlfriend of your thinks you're going to save her.” he laughed harder as he watched Ichigo stand from the ground.
“You bastard! Where is Inoue?” Ichigo yelled out taking his sword in both hands.
“What does it matter? You can’t save her with your weak ass power.” Nnoitra replied.
Unrelated to this article: data records:
-- begin --
[1]
Crystalline CsLi2GePd at its relaxed geometry. Source: the Alexandria database, functional PBE.

The mass density is 4.046 g/cm³. The value obtained for the electronic total energy is -15.37 eV per cell. The relative energy among the computed polymorphs comes out at 0 meV per atom. Its magnetic moment is 0.00 μB/f.u. The calculation puts the formation energy at -0.877 eV/f.u.

It has space group P4/mmm (No. 123), with a = 5.3019 Å, b = 5.3019 Å, c = 4.7571 Å, α = 90.00°, β = 90.00° and γ = 90.00°. The asymmetric unit holds Cs at (0.0000, 0.0000, 0.0000), Li at (0.0000, 0.5000, 0.5000), Ge at (0.5000, 0.5000, 0.0000) and Pd at (0.5000, 0.5000, 0.5000).

[2]
Crystalline GdURh2 at its relaxed geometry. Source: the Alexandria database, functional PBE.

The mass density is 11.604 g/cm³. The value obtained for the electronic total energy is -126.80 eV per cell. The relative energy among the computed polymorphs comes out at 29 meV per atom. Its magnetic moment is 8.74 μB/f.u. The calculation puts the formation energy at -2.195 eV/f.u.

It has space group R-3m (No. 166, hexagonal axes), with a = 4.5203 Å, b = 4.5203 Å, c = 14.5827 Å, α = 90.00°, β = 90.00° and γ = 120.00°. The asymmetric unit holds Gd at (0.0000, 0.0000, 0.0000), U at (0.0000, 0.0000, 0.5000) and Rh at (0.0000, 0.0000, 0.2174).

[3]
Crystalline AcNd6Y8 at its relaxed geometry. Source: the Alexandria database, functional PBE.

The mass density is 5.768 g/cm³. The value obtained for the electronic total energy is -247.30 eV per cell. Its magnetic moment is 0.00 μB/f.u. The calculation puts the formation energy at 1.995 eV/f.u.

It has space group R-3 (No. 148, hexagonal axes), with a = 9.1788 Å, b = 9.1788 Å, c = 21.3508 Å, α = 90.00°, β = 90.00° and γ = 120.00°. The asymmetric unit holds Ac at (0.0000, 0.0000, 0.0000), Nd at (0.0526, 0.2434, 0.7112), Y at (0.0000, 0.0000, 0.4224) and Y at (0.0792, 0.5614, 0.8073).

[4]
Crystalline Pr8Ga3CoBr4 at its relaxed geometry. Source: the Alexandria database, functional PBE.

The mass density is 6.035 g/cm³. The value obtained for the electronic total energy is -148.75 eV per cell. Its magnetic moment is 0.00 μB/f.u. Its energy relative to the elements, uncorrected is -0.829 eV/atom.

It has space group C2/m (No. 12), with a = 14.9823 Å, b = 8.4258 Å, c = 9.0304 Å, α = 90.00°, β = 124.11° and γ = 90.00°. The asymmetric unit holds Pr at (0.0077, 0.2307, 0.2928), Pr at (0.2341, 0.0000, 0.7218), Pr at (0.2447, 0.5000, 0.7361), Ga at (0.0000, 0.5000, 0.5000), Ga at (0.2500, 0.2500, 0.5000), Co at (0.0000, 0.0000, 0.5000), Br at (0.0000, 0.0000, 0.0000), Br at (0.0000, 0.5000, 0.0000) and Br at (0.2500, 0.2500, 0.0000).

[5]
Crystalline YTh2TlC at its relaxed geometry. Source: the Alexandria database, functional PBE.

The mass density is 9.903 g/cm³. The value obtained for the electronic total energy is -34.41 eV per cell. Its magnetic moment is 0.00 μB/f.u. The calculation puts the formation energy at -1.519 eV/f.u.
-- stop --
Angered Ichigo attacked again, strike after strike Ichigo drove Nnoitra back a few steps. Nnoitra’s eyes lit up and a evil blood thirst look appeared on his face.
“That’s it, Kurosaki! Fight me with everything you have because if you don't I ‘will’ kill you.”
Nnoitra and Ichigo exchanged blow for blow, attack for attack no one ever getting the upper hand. That was until Ichigo’s quincy friend Ishida, butt in. Nnoitra and Ichigo quickly jumped back to avoid his arrows as Nnoitra looked down at Ishida. Just then, Ichigo was yelling at Ishida.
“Watch where the hell you aim those things! You almost shot me!”
“Maybe you should move out of the way so I can kill him,” the quincy pushed up his glasses and mumbled under his breath, “Since your doing a lousy job of it anyway.”
The two started a yelling match between them as Nnoitra shook his head snapping his fingers. The garguanta appeared and opened as he looked at the two idiots still going at one another.
“Kill ya next time substitute,” Nnoitra announced stepping into the gate going back to Los Noches.
Ichigo and Ishida ran toward the gate getting to it just as it closed.